International Peak-baggers' Tables 2022


HoFMeister’s Report


2022 was the first post-pandemic year when most international borders were open, more or less as normal.  As such, it is difficult to assess if this was a good year for bagging or not, when compared with pre-pandemic times.  Only time will tell.


A total of 3,285 P300m peaks were climbed by all the 118 participants of the 2022 Table, averaging nearly twenty-eight peaks per person in the year.


This year is the second for the junior section, with seven participants climbing a total of 338 P300m peaks, averaging nearly fifty peaks per person.  An amazing effort by all.  There are now six participants, with Jan Reifer graduating this year to the adult progress register.


Once again Rob Woodall was the front runner with 199 P300m peaks.  Next closest was Deividas Valaitis with 132.  They made a number of joint-peak-bagging trips together in 2022, making a formidable team.  I heard it mentioned that one of them commented about the other, saying:- “He doesn’t seem to sleep. When he is not hiking, he is writing up trip reports”.  Which one of the two stayed awake to make this observation is not clear.

What may also be of interest is the highest number of P300m peaks climbed in any of the years since BwB began in 2019.  This honour is currently held by Josef Nuernberger, who managed 295 P300m peaks in 2020.  This is an impressive figure, but with 218 of them being P600m and 42 P1000m, this makes it even more notable.  That is the high bar set by Josef for future years for those P300m enthusiasts aspiring to top it.

Someone pasted crystal structures at this point:
'''
[1]
The following is a calculated X-ray diffraction stick pattern of Mg9Si5. It was derived from a cell relaxed with GGA-PBE, using λ = 1.5418 Å (Cu Kα).
Neutral-atom scattering factors, no anomalous dispersion.

Atomic structure:
```
data_Mg9Si5
_chemical_formula_sum 'Mg18 Si10'
_space_group_name_H-M_alt 'P 1'
_space_group_IT_number 1
_cell_length_a 7.200
_cell_length_b 7.212
_cell_length_c 12.427
_cell_angle_alpha 82.10
_cell_angle_beta 86.20
_cell_angle_gamma 61.54
loop_
_space_group_symop_operation_xyz
'x,y,z'
loop_
_atom_site_label
_atom_site_type_symbol
_atom_site_fract_x
_atom_site_fract_y
_atom_site_fract_z
Mg1 Mg 0.000 0.000 0.000
Mg2 Mg 0.002 0.901 0.301
Mg3 Mg 0.055 0.065 0.644
Mg4 Mg 0.099 0.253 0.177
Mg5 Mg 0.268 0.531 0.681
Mg6 Mg 0.270 0.458 0.978
Mg7 Mg 0.339 0.406 0.305
Mg8 Mg 0.359 0.678 0.469
Mg9 Mg 0.390 0.709 0.120
Mg10 Mg 0.418 0.751 0.829
Mg11 Mg 0.598 0.926 0.408
Mg12 Mg 0.608 0.967 0.168
Mg13 Mg 0.649 0.179 0.822
Mg14 Mg 0.729 0.846 0.651
Mg15 Mg 0.739 0.241 0.463
Mg16 Mg 0.768 0.723 0.981
Mg17 Mg 0.949 0.523 0.472
Mg18 Mg 0.960 0.402 0.815
Si1 Si 0.007 0.786 0.817
Si2 Si 0.035 0.661 0.146
Si3 Si 0.175 0.116 0.413
Si4 Si 0.345 0.135 0.730
Si5 Si 0.355 0.053 0.990
Si6 Si 0.360 0.239 0.533
Si7 Si 0.634 0.573 0.297
Si8 Si 0.675 0.402 0.979
Si9 Si 0.675 0.487 0.643
Si10 Si 0.710 0.289 0.180
```

Largest 10 diffraction maxima, low angle first, 2θ from 10° to 80°:
31.5°, d = 2.839 Å, rel. 67.3
33.9°, d = 2.647 Å, rel. 78.0
34.1°, d = 2.628 Å, rel. 59.6
34.3°, d = 2.613 Å, rel. 53.8
35.8°, d = 2.507 Å, rel. 72.9
38.0°, d = 2.366 Å, rel. 100.0
40.9°, d = 2.206 Å, rel. 49.8
42.8°, d = 2.112 Å, rel. 80.4
42.9°, d = 2.110 Å, rel. 55.0
44.1°, d = 2.051 Å, rel. 57.7

[2]
The following is a calculated X-ray diffraction stick pattern of Ti2ZnSnO6. It was derived from a cell relaxed with GGA-PBE, using λ = 1.5418 Å (Cu Kα).
Neutral-atom scattering factors, no anomalous dispersion.

Atomic structure:
```
data_Ti2ZnSnO6
_chemical_formula_sum 'Ti8 Zn4 Sn4 O24'
_space_group_name_H-M_alt 'P 42/n m c'
_space_group_IT_number 137
_cell_length_a 7.628
_cell_length_b 7.628
_cell_length_c 7.748
_cell_angle_alpha 90.00
_cell_angle_beta 90.00
_cell_angle_gamma 90.00
loop_
_space_group_symop_operation_xyz
'x,y,z'
'-x,-y,-z'
'-y+1/2,x,z+1/2'
'y+1/2,-x,-z+1/2'
'-x+1/2,-y+1/2,z'
'x+1/2,y+1/2,-z'
'y,-x+1/2,z+1/2'
'-y,x+1/2,-z+1/2'
'x+1/2,-y,-z'
'-x+1/2,y,z'
'-y,-x,-z+1/2'
'y,x,z+1/2'
'-x,y+1/2,-z'
'x,-y+1/2,z'
'y+1/2,x+1/2,-z+1/2'
'-y+1/2,-x+1/2,z+1/2'
loop_
_atom_site_label
_atom_site_type_symbol
_atom_site_fract_x
_atom_site_fract_y
_atom_site_fract_z
Ti1 Ti 0.000 0.000 0.000
Zn1 Zn 0.250 0.750 0.250
Zn2 Zn 0.250 0.750 0.750
Sn1 Sn 0.250 0.250 0.228
O1 O 0.050 0.750 0.431
O2 O 0.051 0.250 0.964
O3 O 0.056 0.556 0.750
```

Largest 10 diffraction maxima, low angle first, 2θ from 10° to 80°:
23.3°, d = 3.814 Å, rel. 10.3
33.0°, d = 2.718 Å, rel. 100.0
33.2°, d = 2.697 Å, rel. 49.2
40.8°, d = 2.213 Å, rel. 20.5
46.9°, d = 1.937 Å, rel. 14.0
'''


Of the six new participants in this year’s Hall of Fame, only two qualified from the Progress Register.  Mihai Giurgiulescu acquired the necessary number of foreign summits in 2022, and Patrick Thornley, who hit the qualifying number of 350 peaks ‘bang on’ with his twenty P300m ascents in 2022, finishing on Mount Eagle 354m, P354m on the US Virgin Islands.

The other four people were new participants to the P300m Table - Daryn Dodge and Craig Barlow were straight in at the Bronze level, with Alastair Govan and Roy Schweiker easily qualifying for the Hall.  Welcome to you all!


Look out for more qualifiers next year, with twelve people in the Progress Register poised to reach the Hall of Fame in 2023.  Even your P300m HoFMeister, on 308, is hoping to qualify for the Hall.


Only one person in the Hall last year achieved an Award in 2022 - Deividas Valaitis, comfortably overshooting the bronze qualification.

If this year’s totals are repeated in 2023, there may be some new participants at both Silver (Petter Bjørstad, John Stolk, and Adam Walker), and Bronze (Steven Song, and Connor McEntee).


All that remains is for me to congratulate all the participants.  I hope you have a fulfilling and successful peak-bagging year in 2023.

Steve Smith

P300m HoFMeister

(Misplaced materials data)
Record 1
The following is a computed powder X-ray diffraction pattern of La4Tb2Pm2Ho. It was derived from a cell relaxed with PBE, using Cu Kα, 1.54184 Å.
Kinematic intensities with the Lorentz-polarization factor, no thermal factor.

a b c (Å): 8.212 8.212 8.140
angles (deg): 107.68 107.68 36.93
Fractional positions:
La (0.054, 0.054, 0.329)
La (0.277, 0.277, 0.669)
La (0.723, 0.723, 0.331)
La (0.946, 0.946, 0.671)
Tb (0.167, 0.167, 0.000)
Tb (0.833, 0.833, 0.000)
Pm (0.388, 0.388, 0.329)
Pm (0.612, 0.612, 0.671)
Ho (0.500, 0.500, 0.000)

Largest 6 diffraction maxima, in order of rising 2θ, 2θ from 15° to 90°:
2θ (°)  I/Imax
29.88  100
34.51  34
34.90  17
49.90  24
58.98  22
59.52  14

Record 2
The following is a computed powder X-ray diffraction pattern of Hf3Ti5Co2. It was derived from a cell relaxed with PBE, using Cu Kα, 1.54184 Å.
Kinematic intensities with the Lorentz-polarization factor, no thermal factor.

a b c (Å): 10.586 10.586 3.118
angles (deg): 90.00 90.00 90.00
Fractional positions:
Hf (0.000, 0.000, 0.000)
Hf (0.176, 0.324, 0.000)
Hf (0.324, 0.824, 0.000)
Hf (0.500, 0.500, 0.000)
Hf (0.676, 0.176, 0.000)
Hf (0.824, 0.676, 0.000)
Ti (0.000, 0.500, 0.500)
Ti (0.065, 0.784, 0.500)
Ti (0.216, 0.065, 0.500)
Ti (0.284, 0.565, 0.500)
Ti (0.435, 0.284, 0.500)
Ti (0.500, 0.000, 0.500)
Ti (0.565, 0.716, 0.500)
Ti (0.716, 0.435, 0.500)
Ti (0.784, 0.935, 0.500)
Ti (0.935, 0.216, 0.500)
Co (0.124, 0.624, 0.000)
Co (0.376, 0.124, 0.000)
Co (0.624, 0.876, 0.000)
Co (0.876, 0.376, 0.000)

Largest 6 diffraction maxima, in order of rising 2θ, 2θ from 15° to 90°:
2θ (°)  I/Imax
26.63  53
34.44  29
34.95  54
37.54  34
38.01  26
39.50  100

Record 3
The following is a computed powder X-ray diffraction pattern of KMnCrSi2. It was derived from a cell relaxed with PBE, using Cu Kα, 1.54184 Å.
Kinematic intensities with the Lorentz-polarization factor, no thermal factor.

a b c (Å): 4.468 4.468 4.884
angles (deg): 90.00 90.00 90.00
Fractional positions:
K (0.000, 0.000, 0.000)
Mn (0.500, 0.500, 0.500)
Cr (0.500, 0.500, 0.000)
Si (0.000, 0.500, 0.500)
Si (0.500, 0.000, 0.500)

Largest 6 diffraction maxima, in order of rising 2θ, 2θ from 15° to 90°:
2θ (°)  I/Imax
19.87  74
28.25  56
33.79  72
36.81  66
40.38  100
55.77  71

Record 4
The following is a computed powder X-ray diffraction pattern of HfSc3Pt3. It was derived from a cell relaxed with PBE, using Cu Kα, 1.54184 Å.
Kinematic intensities with the Lorentz-polarization factor, no thermal factor.

a b c (Å): 6.644 6.644 6.328
angles (deg): 90.00 90.00 90.94
Fractional positions:
Hf (0.249, 0.751, 0.000)
Hf (0.751, 0.249, 0.000)
Sc (0.232, 0.232, 0.000)
Sc (0.244, 0.756, 0.500)
Sc (0.253, 0.253, 0.500)
Sc (0.747, 0.747, 0.500)
Sc (0.756, 0.244, 0.500)
Sc (0.768, 0.768, 0.000)
Pt (0.000, 0.500, 0.248)
Pt (0.000, 0.500, 0.752)
Pt (0.500, 0.000, 0.248)
Pt (0.500, 0.000, 0.752)
Pt (0.500, 0.500, 0.236)
Pt (0.500, 0.500, 0.764)

Largest 6 diffraction maxima, in order of rising 2θ, 2θ from 15° to 90°:
(So much for the materials data)

April 2023